Chapter 574 – Angry Girl

Name:Kill the Sun Author:
Chapter 574 – Angry Girl

Nick walked into the Containment Unit-


And immediately jumped to the side as several rusty nails shot past him.


More and more rusty nails flew past Nick as he swayed back and forth to avoid them.

Near the wall of the Containment Unit was the tall and gaunt figure of an old man. It was almost 2.5 meters high and was chained to the walls by black chains.

The entire figure was covered by rusty nails, which detached from the body to fly right at Nick.


The gaunt figure aggressively shouted in pain as it tried to tear itself from the wall with all of its strength.

Naturally, the chains were so stable that the Specter couldn't tear itself off that easily.

The nails were shooting at Nick with a lot of speed, but he managed to avoid them pretty well.

'I guess this is a defense or evasion test,' Nick thought as he avoided another barrage of rusty nails.

(The entry is interrupted by data records)
The following is a quantum chemistry calculation of one molecule with the formula C3H3ClF2, from OMol25.

```
9
Properties=species:S:1:pos:R:3:forces:R:3
F 1.457601 -1.541289 -1.507387 -0.883 -0.417 0.738
C 0.597513 -1.179658 -0.520683 0.788 2.299 0.011
C 0.350352 0.114087 -0.360550 1.267 1.026 -0.646
C -0.454975 0.769277 0.705917 -1.734 0.056 -1.721
F -0.841213 -0.162552 1.612512 0.580 0.644 0.793
Cl -2.055438 1.212166 -0.152998 0.226 0.159 0.163
H 0.295104 -1.833204 0.246961 -0.130 -1.659 0.109
H 0.833642 0.804643 -1.067511 -0.392 -0.271 0.246
H -0.182587 1.816530 1.043739 0.278 -1.837 0.308
```
Positions in Å, forces in eV/Å.

## Properties
* HOMO-LUMO gap: 10.85 eV
* ΔE to the lowest compared entry with this formula, charge and spin: 20.4 kcal per mole
* molecular weight: 112.51 Da
* E_tot: -21115.671 eV
* SMILES: F/C=C/[C@H](F)Cl


The following is a quantum chemistry calculation of a 2-piece molecular cluster, C3H3ClFN overall, from OMol25.

```
9
Properties=species:S:1:pos:R:3:forces:R:3
C 0.295563 1.563574 -1.749766 1.078 -0.094 -0.935
C -0.568091 -0.268363 1.488793 -0.351 -0.796 2.006
C -0.703906 -0.322156 0.201507 -2.260 1.959 -1.837
N 1.375378 1.426428 -2.092854 0.814 -0.076 0.253
F 0.110190 -1.181796 2.229558 0.947 -0.773 0.485
Cl 0.116209 -1.700942 -0.657531 1.967 0.102 1.512
H -0.725675 1.641272 -1.726254 -1.830 0.235 0.618
H 1.223159 -1.500697 0.082671 -0.717 -0.821 -0.952
H -1.122826 0.342680 2.223877 0.351 0.264 -1.149
```
Positions in Å, forces in eV/Å.

## Properties
* HOMO-LUMO gap: 8.91 eV
* ΔE to the lowest compared entry with this formula, charge and spin: 130.4 kcal per mole
* molecular weight: 107.52 Da
* E_tot: -19883.525 eV


The following is a quantum chemistry calculation of C3H3ClN2 as an isolated structure, from OMol25.

```
9
Properties=species:S:1:pos:R:3:forces:R:3
C -1.006865 -0.336277 0.626950 0.338 -1.712 -3.123
C -1.164074 -0.915480 -0.653689 0.384 0.871 0.917
C 0.689937 -0.781326 -0.116597 -0.424 0.427 0.486
N 0.325794 -0.207765 0.934275 1.740 0.513 0.971
N 0.186562 -1.079496 -1.200065 -1.324 -0.620 -1.167
Cl 2.868705 1.739076 -0.858239 1.207 -0.403 0.060
H -1.730908 -0.264260 1.332393 -1.939 0.652 2.068
H -2.131218 -1.178661 -1.119916 1.238 -0.082 -0.156
H 4.140672 1.374664 -0.806613 -1.221 0.353 -0.056
```
Positions in Å, forces in eV/Å.

## Properties
* HOMO-LUMO gap: 8.23 eV
* ΔE to the lowest compared entry with this formula, charge and spin: 95.4 kcal per mole
* molecular weight: 102.52 Da
* E_tot: -18657.850 eV


The following is a quantum chemistry calculation of one molecule with the formula C3H3ClN2O, from OMol25.

```
10
Properties=species:S:1:pos:R:3:forces:R:3
O -0.325351 -1.039906 1.669177 4.473 -2.865 0.602
C -0.309820 -0.490362 0.420698 -0.600 -0.238 1.709
C -0.648748 0.796400 0.311219 -0.799 5.593 1.279
N -0.237392 1.212975 -0.924361 -0.839 2.661 1.247
N 0.374785 0.312814 -1.528086 1.585 -6.068 -3.251
C 0.179467 -0.901779 -0.823310 0.879 4.007 0.784

Moments after the rusty nails hit the walls behind Nick, they fell to the ground and turned into black smoke.

At the same time, new nails grew out of the Specter's body.

'I can avoid the nails from a distance, but it's not easy to avoid them if I close in,' Nick thought.

'But that isn't an issue.'


A spear entered the Specter's chest and pushed it back.

Naturally, this was one of Nick's throwing spears.

Nowadays, Nick rarely got any opportunities to use his throwing spears, but he still carried them with him.

Usually, since Nick was an Assassin and Runner, he fought with his blades since they could attack faster.

A proper throw was extremely powerful, but Nick couldn't throw a second spear before his enemy reacted.

That was much easier to accomplish with blades.


The Specter kept shouting and threw more nails at Nick.


Nick's spear punched through the Specter's head, disturbing its aim.


Since the Specter's aim and attack speed had suffered massively with that hit, Nick charged forward and decapitated the Specter.

The body kept writhing and shooting more nails as the head slowly turned to black dust.


Then, a green light appeared, and the Specter's body started to cramp up as some small bolts of black lightning came out of the chains, binding it to the wall.

These black bolts of lightning could suppress the use of a Specter's Zephyx, turning them immobile.

Nick walked forward and grabbed one of the two spears stuck in the Specter.


Some black lightning hit Nick's hand, but he barely felt anything.

Nick's Zephyx was isolated from the outside world, and the black bolts of lightning were designed in such a way that humans could still touch them without getting injured.

Nick pulled his two spears out and quickly left the Containment Unit.

Technically, the Specter could still fight, but that was only because Nick didn't go for a kill shot.

After all, levels four and up of the battle portion were supposed to simulate real fights and include real danger.

So, there was a chance that nobody would be looking into this place.

However, it was also possible that they were looking into this place to see if the Specter was playing according to the rules.

Nick couldn't be sure either way.

[The article is interrupted by molecular data]
Here is C5H9NO as an isolated structure in a non-equilibrium geometry from the OMol25 dataset. Energies are from ωB97M-V/def2-TZVPD.

CARTESIAN COORDINATES (ANGSTROEM)
1 C -0.625 2.080 0.079
2 C -0.947 0.715 -0.387
3 N 1.085 -1.257 1.670
4 C -1.965 -0.056 -0.074
5 O 1.257 -0.311 0.613
6 H 0.230 -1.778 1.467
7 H 1.855 -1.918 1.551
8 H 0.204 2.059 0.789
9 H -1.465 2.517 0.623
10 H -0.300 2.716 -0.744
11 H -2.170 -0.977 -0.601
12 H -2.772 0.320 0.545
13 C 1.394 -0.736 -0.678
14 C 1.931 -1.565 -1.410
15 H 2.248 -1.945 -2.345
16 H 0.041 0.137 -1.096

Forces on atoms 1 to 2 (eV/Å):
0.14 0.13 0.50
3.04 -1.70 -2.04

Results
- calculated total energy (eV) = -8861.611
- orbital gap (eV) = 9.7
- LUMO level (Ha) = 0.0105
- relative energy (zero: lowest compared OMol25 entry of this formula, charge and spin) (kJ/mol) = 733.4
- HOMO level (eV) = -9.38
- M (g mol⁻¹) = 99.13
- max |F| (eV Å⁻¹) = 4.4

Here is one molecule with the formula C5H9NO in a non-equilibrium geometry from the OMol25 dataset. Energies are from ωB97M-V/def2-TZVPD.

CARTESIAN COORDINATES (ANGSTROEM)
1 C 0.227 1.243 1.723
2 N 0.793 0.688 0.518
3 C 0.759 -0.804 0.603
4 C -0.534 -1.177 -0.119
5 O -0.365 -1.184 -1.528
6 C -0.954 -0.068 -0.905
7 C 0.058 1.055 -0.658
8 H -0.818 0.906 1.897
9 H 0.815 0.942 2.612
10 H 0.307 2.354 1.633
11 H 0.872 -1.233 1.603
12 H 1.642 -1.173 0.044
13 H -1.218 -1.896 0.332
14 H -1.962 0.172 -1.261
15 H -0.343 2.073 -0.583
16 H 0.726 1.014 -1.545

Forces on atoms 1 to 2 (eV/Å):
0.07 0.85 0.46
1.03 -0.94 1.40

Results
- calculated total energy (eV) = -8866.561
- orbital gap (eV) = 9.6
- LUMO level (Ha) = 0.0397
- relative energy (zero: lowest compared OMol25 entry of this formula, charge and spin) (kJ/mol) = 255.8
- SMILES = CN1C[C@@H]2O[C@@H]2C1
- HOMO level (eV) = -8.53
- M (g mol⁻¹) = 99.13
- max |F| (eV Å⁻¹) = 2.4

Here is one molecule with the formula C5H9NO from the OMol25 dataset. Energies are from ωB97M-V/def2-TZVPD.

CARTESIAN COORDINATES (ANGSTROEM)
1 N -1.734 -2.056 0.105
2 C -1.574 -0.879 -0.191
3 C -1.392 0.358 -0.612
4 C -0.032 0.885 -1.057
5 C 1.151 0.075 -0.513
6 C 1.252 0.068 1.022
7 O 0.030 -0.140 1.701
8 H -1.642 -2.315 1.087
9 H -2.282 0.956 -0.774
10 H 0.087 1.944 -0.782
11 H -0.017 0.856 -2.154
12 H 1.081 -0.949 -0.900
13 H 2.088 0.492 -0.907
14 H 1.692 1.013 1.371
15 H 1.919 -0.742 1.335
16 H -0.625 0.435 1.269

Forces on atoms 1 to 2 (eV/Å):
0.11 0.51 -0.28
-0.25 -0.36 -0.22

Results
- calculated total energy (eV) = -8866.784
- orbital gap (eV) = 9.6
- LUMO level (Ha) = 0.0341
- relative energy (zero: lowest compared OMol25 entry of this formula, charge and spin) (kJ/mol) = 234.4
- SMILES = N=C=CCCCO
- HOMO level (eV) = -8.69
- M (g mol⁻¹) = 99.13
- max |F| (eV Å⁻¹) = 0.6

Here is C5H9NO as an isolated structure in a non-equilibrium geometry from the OMol25 dataset. Energies are from ωB97M-V/def2-TZVPD.

CARTESIAN COORDINATES (ANGSTROEM)
1 C 2.390 0.570 0.037
2 O 1.084 0.677 0.040
3 C 0.282 -0.237 0.521
4 C -1.191 0.055 0.382

Because of that, he used his explosion of light to test that.

If nobody was watching, his ability would activate, and he could easily win.

If somebody was watching, Nick would just cut through one of the tentacles and jump to the side.

But it was also possible that somebody was watching and that Nick's light could also fool them.

Maybe there was some kind of device that could transmit videos?

Well, whether the device was here or not didn't make a difference.

Nick's ability worked.

It was important to note that the Specter had only felt truly dangerous to Nick as long as his ability didn't work.

However, since Nick's ability actually worked, it was no longer a big deal.

With his ability and his powerful body, Nick's effective physical power was on the level of an Initial Specialist.

That was at least two times stronger than this Specter.

The Specter collapsed into two shocked heaps.

"I lost?" the little girl asked in surprise.


At that point, the light turned green, and Nick walked towards the exit.

"You lied to me!" the girl shouted.

Then, the tentacles of her upper body suddenly moved with a lot of power and threw her towards Nick.

Naturally, this was not part of the test.

Nick hadn't expected the Specter to suddenly become crazy and attack him with its full power, but this also wasn't the first time he worked with Specters.

And an experienced Extractor knew to never let down their guard in front of a Specter.


An explosion of light.


The torso of the girl shot out of the explosion of light and hit the wall at the back of the Containment Unit.

Nick just opened the employee entrance and left.

The girl looked at the closed door for a while before slowly combining her halves again and waiting in the middle of the room.

'Seems unsafe,' Nick thought as he walked towards the fifth level. 'It was obviously a Late or Peak Elder, but they trusted it enough to test Initial Experts.'

'This could very quickly end with unnecessary deaths. This is a combat trial, not a danger trial.'

'I should talk about that when I get to meet one of the supervisors.'

Nick entered the locker room for the fifth level.

Surprisingly, there was only a single door.

'No difference between Physical and Force Specters?' Nick thought with a raised brow.

Then, Nick saw an illustration.

'A special rule, huh?' Nick thought as he looked at it.

'I just have to use up all of the Specter's Zephyx?'

'Sure,' he thought as he opened the door.